Short Summary
_Unrelated to this piece: calculated molecules_
-- begin --
(1)
Below is the molecule C3H3Br3O, with properties calculated with wB97M-V/def2-TZVPD.

As for the SMILES: O[C@H](Br)/C(Br)=C/Br. The value obtained for the relative energy (zero: lowest compared OMol25 entry of this formula, charge and spin) is 6.5 kcal per mole.

Positions of all 10 atoms, in Å:
1 O -0.04 1.64 -1.24
2 C -0.25 0.98 -0.14
3 Br 1.01 1.98 1.27
4 C 0.15 -0.47 -0.10
5 Br 1.37 -0.95 -1.45
6 C -0.48 -1.32 0.72
7 Br -0.07 -3.11 0.65
8 H 0.60 1.06 -1.82
9 H -1.20 1.22 0.50
10 H -1.09 -1.03 1.62

(2)
Below is a cluster of 2 separate species, C15H18O in total, with properties calculated with wB97M-V/def2-TZVPD.

The spin multiplicity is 2. The value obtained for the relative energy (zero: lowest compared OMol25 entry of this formula, charge and spin) is 15.6 kcal per mole. The charge is -1.

Positions of all 34 atoms, in Å:
1 C -2.54 -1.95 -1.56
2 C -3.66 -1.88 -2.64
3 C -2.01 -0.61 -1.13
4 C -0.80 -0.10 -1.58
5 C -2.77 0.16 -0.27
6 C -0.23 1.03 -1.02
7 C -2.22 1.29 0.34
8 C -1.03 1.78 -0.19
9 O -0.54 2.98 0.26
10 H -2.88 -2.49 -0.67
11 H -1.76 -2.65 -1.88
12 H -3.34 -2.45 -3.49
13 H -0.22 -0.79 -2.18
14 H -3.66 -0.20 0.21
15 H 0.71 1.43 -1.36
16 H -2.57 1.64 1.31
17 H -1.20 3.47 0.77
18 H -4.02 -0.87 -2.83
19 H -4.59 -2.30 -2.23
20 C 0.81 -1.05 1.68
21 C 3.15 -0.75 0.80
22 C 2.11 -0.30 1.62
23 C 4.30 -0.01 0.58
24 C 4.34 1.36 0.98
25 C 2.13 1.09 2.01
26 C 3.26 1.84 1.71
27 H 3.14 -1.77 0.43
28 H 5.11 -0.47 0.01
29 H 0.15 -0.58 2.40
30 H 0.91 -2.07 2.09
31 H 5.20 1.99 0.79
32 H 1.22 1.54 2.38
33 H 3.19 2.90 1.92
34 H 0.31 -1.21 0.72

Among the records above, which one has the highest relative energy (zero: lowest compared OMol25 entry of this formula, charge and spin)? C15H18O

What is the formula in the first record? C3H3Br3O

~~~~~

# C7H17NO2

A molecular structure, C7H17NO2 at a distorted geometry (the ωB97M-V functional and the def2-TZVPD basis, the OMol25 dataset).

XYZ file:
```
27
Properties=species:S:1:pos:R:3:forces:R:3:nbo_charge:R:1
O -2.4459 -0.6509 0.1118 -3.517 3.946 1.086 -0.536
C -2.5523 0.0533 1.3303 0.021 -0.014 0.944 -0.256
C -3.6649 -1.8669 -2.2685 -0.046 -0.140 0.022 -0.610
C -2.8464 0.1555 -0.9856 -0.302 0.404 -0.621 -0.063
C -2.7298 -0.6599 -2.2587 0.279 0.129 -0.460 -0.434
H -1.9090 0.9493 1.3388 -0.180 -0.257 -0.118 0.182
H -3.5916 0.3645 1.5294 0.273 -0.144 -0.158 0.186
H -2.2260 -0.6218 2.1392 -0.111 0.245 -0.384 0.210
H -3.4324 -2.5335 -1.4211 -0.221 0.233 -0.454 0.210
H -3.5541 -2.4377 -3.2058 -0.079 0.189 0.414 0.220
H -4.7137 -1.5372 -2.1793 0.315 -0.184 -0.036 0.202
H -2.2069 1.0577 -1.0370 -0.220 -0.301 0.107 0.182
H -3.8908 0.4913 -0.8378 0.306 -0.138 0.051 0.179
H -1.6788 -0.9910 -2.3646 -0.538 0.174 -0.093 0.228
H -2.9599 0.0075 -3.1114 0.120 -0.250 0.373 0.213
O 1.3138 -2.3744 -0.7774 0.075 0.472 0.016 -0.650
C 0.3450 -1.6741 -0.4988 -0.540 -1.286 0.002 0.658
N -0.8977 -2.2081 -0.3382 2.331 -1.925 -0.483 -0.665
C 0.4307 -0.1745 -0.3089 0.429 0.493 0.003 -0.708
-- stop --
_Back to the piece_
My name is Ronald Dalton Jr. I am an highly acclaimed African-American Author, filmmaker, educator, father, husband. This campaign is to provide the funding needed to establish African Diaspora Absorption Centers and Communities in Africa. Over the last 50 years, there has been an increase in the African Diaspora repatriating to the Motherland. This however has not been without challenges. Establishing these “Diasporan Absorption Centers” and “Diasporan Communities” in different countries in Africa will help facilitate an easier transition for those Diasporans who are ready to relocate to Africa. This will greatly impact our nation when it comes to the dream that many of great black leaders longed for…to see black people in the Diaspora return back to Africa so that together we can aid to the Empowerment of Black people in Africa.
What We Need & What You Get
We need the funding from “our people”…in short, “our nation” to truly start this process of “Nation Building” & “Bridge Building” between Continental Africans and the African Diaspora. You will get the satisfaction and pride in our people, knowing that together we can make a difference and do something that will impact the “African Diasporan community” as a whole. No more wishing, hoping and talking about what we should be doing…but actually being proud to say that you helped contribute to this very important project.
____________
{"formula": "C11H10ClNS2", "method": "the ωB97M-V functional and the def2-TZVPD basis", "max_force_ev_per_a": 1.082, "orbital_gap_ev": 8.8610, "total_charge": 0, "smiles": "Cc1nc(CSc2ccc(Cl)cc2)cs1", "spin_multiplicity": 1, "symbols": ["C", "C", "N", "C", "C", "S", "C", "C", "C", "C", "Cl", "C", "C", "C", "S", "H", "H", "H", "H", "H", "H", "H", "H", "H", "H"], "positions_angstrom": [[-5.9175, -0.3041, 0.0254], [-4.4839, 0.0306, -0.1221], [-3.5598, -0.8007, -0.4292], [-2.3302, -0.2228, -0.4998], [-1.1436, -1.0562, -0.8160], [-0.2102, -1.4308, 0.7365], [1.3958, -0.7719, 0.3824], [2.0181, -0.9577, -0.8459], [3.2813, -0.4423, -1.0678], [3.9317, 0.2398, -0.0513], [5.5124, 0.8810, -0.3295], [3.3310, 0.4063, 1.1876], [2.0628, -0.0977, 1.3996], [-2.3187, 1.1129, -0.2316], [-3.9034, 1.6753, 0.1204], [-6.2644, -0.0525, 1.0266], [-6.5152, 0.2592, -0.6901], [-6.0546, -1.3679, -0.1477], [-1.4608, -2.0039, -1.2463], [-0.4589, -0.5321, -1.4778], [1.5288, -1.5156, -1.6301], [3.7649, -0.5805, -2.0221], [3.8491, 0.9320, 1.9740], [1.5787, 0.0269, 2.3556], [-1.4831, 1.7831, -0.2175]], "forces_ev_per_a": [[-0.261, -0.001, 0.040], [-0.028, 1.059, 0.222], [-0.126, -0.872, -0.136], [0.173, 0.865, 0.024], [0.310, -0.157, 0.463], [-0.012, -0.069, -0.172], [-0.279, -0.130, 0.023], [0.059, 0.061, 0.091], [0.105, 0.085, 0.014], [-0.223, -0.088, 0.067], [0.198, 0.084, -0.032], [0.174, -0.011, -0.105], [-0.083, -0.087, -0.134], [-0.233, -0.088, -0.073], [0.093, -0.791, -0.165], [-0.088, -0.036, 0.030], [-0.089, -0.028, -0.015], [-0.017, -0.021, -0.002], [0.042, 0.115, -0.115], [-0.026, -0.080, -0.061], [-0.035, -0.053, -0.048], [0.078, 0.008, -0.071], [0.073, 0.056, 0.051], [-0.050, 0.079, 0.102], [0.245, 0.100, 0.002]]}

---
____________
Back to the entry =
The Impact
By creating and establishing “African Diasporan Absorption Centers and Communities” those who are in the Americas, the Caribbean, Europe and beyond can now have someone and somewhere to connect to when seeking repatriation to their homeland. We don’t have wait for what seems like forever and rely on Embassies and Local Governments to do things for us when it comes to “Diasporans returning home to Africa”. We can take on this initiative to get the desired “task completed” with faith and works! God honors when we have faith in him but also put forth works/action.
Risks & Challenges
People worldwide have been following me for years. Some have gained alot of knowledge and insight into my literal and visual works. My track record for completing different tasks or things i have set forth to do over the years speaks for itself and most people know that i am not “infiltrated”, nor will i succumb to any tricks that the adversary will throw my way. I have proven that i stand “10 toes down” with what i believe in.
Other Ways You Can Help
Spread the word of this campaign and its necessity to all your friends, family, co-workers/associates, religious leaders/members and whoever needs to hear this. The more people we have on board willing to help, the easier it is for us to achieve this goal…for the Nation.